[Brief]
Find the line further down that holds "513", then quote that line and all lines after it there.
[Material]
-- begin --
This entry pairs a crystal structure of SmAlZnAu6 with its calculated powder diffraction line list. Radiation: Cu Kα (weighted mean of Kα1 and Kα2). Structure: a cell relaxed with GGA-PBE.
No peak broadening, texture or thermal motion is included.

Main lines, low angle first (2θ = 5–70°):
(hkl), 2θ/deg, d [Å], intensity
2 2 0, 31.04, 2.881, 1000
1 2 3, 33.95, 2.641, 344
2 1 3, 36.08, 2.490, 291
0 2 4, 38.77, 2.323, 566
0 4 0, 39.60, 2.276, 434
2 0 4, 41.30, 2.186, 227
3 2 1, 42.33, 2.135, 176
3 0 3, 44.34, 2.043, 184
2 2 4, 46.07, 1.970, 258
2 4 4, 58.54, 1.577, 145

Structure:
Cell: 7.442 9.103 10.807 Å, 90.00 90.00 90.00°
Space group Imma (No. 74)
Inequivalent atoms, fractional coordinates:
Sm: 0.000 0.250 0.215 [4 per cell]
Al: 0.000 0.000 0.000 [4 per cell]
Zn: 0.250 0.250 0.750 [4 per cell]
Au: 0.000 0.250 0.519 [4 per cell]
Au: 0.000 0.250 0.913 [4 per cell]
Au: 0.199 0.015 0.373 [16 per cell]

This entry pairs a crystal structure of SmAlZn3Au with its calculated powder diffraction line list. Radiation: Cu Kα (weighted mean of Kα1 and Kα2). Structure: a cell relaxed with GGA-PBE.
No peak broadening, texture or thermal motion is included.

Main lines, low angle first (2θ = 5–70°):
(hkl), 2θ/deg, d [Å], intensity
1 1 0, 15.86, 5.586, 507
1 3 0, 25.13, 3.543, 603
2 0 0, 28.84, 3.095, 501
0 0 2, 30.45, 2.935, 361
2 2 0, 32.04, 2.793, 689
0 2 2, 33.52, 2.674, 734
1 5 0, 37.62, 2.391, 511
1 3 2, 39.88, 2.260, 744
1 5 1, 40.74, 2.215, 515
2 0 2, 42.44, 2.130, 1000

Structure:
Cell: 6.191 12.962 5.870 Å, 90.00 90.00 90.00°
Space group Cmcm (No. 63)
Inequivalent atoms, fractional coordinates:
Sm: 0.000 0.202 0.250 [4 per cell]
Al: 0.000 0.426 0.250 [4 per cell]
Zn: 0.000 0.371 0.750 [4 per cell]
Zn: 0.198 0.000 0.000 [8 per cell]
Au: 0.000 0.163 0.750 [4 per cell]

This entry pairs a crystal structure of Al2Sn2Au7 with its calculated powder diffraction line list. Radiation: Cu Kα (weighted mean of Kα1 and Kα2). Structure: a cell relaxed with GGA-PBE.
No peak broadening, texture or thermal motion is included.

Main lines, low angle first (2θ = 5–70°):
(hkl), 2θ/deg, d [Å], intensity
1 -1 1, 21.34, 4.164, 313
1 0 -2, 31.03, 2.882, 528
2 -1 0, 32.95, 2.718, 324
0 2 -2, 33.13, 2.704, 359
1 1 1, 33.27, 2.693, 316
1 -2 2, 34.51, 2.599, 491
1 2 -1, 37.28, 2.412, 312
2 0 1, 38.21, 2.355, 345
0 2 1, 39.34, 2.290, 1000
1 -1 3, 42.94, 2.106, 285

Structure:
Cell: 5.534 6.391 6.912 Å, 111.80 90.33 105.16°
Space group P-1 (No. 2)
Inequivalent atoms, fractional coordinates:
Al: 0.118 0.343 0.294 [2 per cell]
Sn: 0.407 0.203 0.764 [2 per cell]
Au: 0.000 0.500 0.000 [1 per cell]
Au: 0.111 0.804 0.429 [2 per cell]
Au: 0.238 0.973 0.056 [2 per cell]
Au: 0.376 0.611 0.677 [2 per cell]

This entry pairs a crystal structure of AlSn2Au2 with its calculated powder diffraction line list. Radiation: Cu Kα (weighted mean of Kα1 and Kα2). Structure: a cell relaxed with GGA-PBE.
No peak broadening, texture or thermal motion is included.

Main lines, low angle first (2θ = 5–70°):
(hkl), 2θ/deg, d [Å], intensity
0 0 2, 20.85, 4.259, 486
1 1 1, 23.97, 3.712, 719
0 2 2, 24.82, 3.588, 513
1 1 2, 30.16, 2.963, 205
1 3 1, 30.68, 2.915, 520
0 2 3, 34.33, 2.612, 236
1 5 1, 41.17, 2.193, 1000
2 0 0, 41.64, 2.169, 388
1 3 3, 43.19, 2.094, 445
2 2 3, 55.00, 1.670, 214

Structure:
Cell: 4.338 13.311 8.519 Å, 90.00 90.00 90.00°
Space group Cmc2_1 (No. 36)
Inequivalent atoms, fractional coordinates:
Al: 0.000 0.142 0.000 [4 per cell]
Sn: 0.000 0.069 0.308 [4 per cell]
Sn: 0.000 0.373 0.089 [4 per cell]
Au: 0.000 0.246 0.488 [4 per cell]
Au: 0.000 0.450 0.400 [4 per cell]

This entry pairs a crystal structure of AlSn2Au3 with its calculated powder diffraction line list. Radiation: Cu Kα (weighted mean of Kα1 and Kα2). Structure: a cell relaxed with GGA-PBE.
No peak broadening, texture or thermal motion is included.

Main lines, low angle first (2θ = 5–70°):
(hkl), 2θ/deg, d [Å], intensity
0 1 1, 27.71, 3.219, 259
1 0 2, 32.08, 2.790, 260
1 1 0, 32.55, 2.750, 457
-- stop --
[Done]
0 2 2, 24.82, 3.588, 513
1 1 2, 30.16, 2.963, 205
1 3 1, 30.68, 2.915, 520
0 2 3, 34.33, 2.612, 236
1 5 1, 41.17, 2.193, 1000
2 0 0, 41.64, 2.169, 388
1 3 3, 43.19, 2.094, 445
2 2 3, 55.00, 1.670, 214

Structure:
Cell: 4.338 13.311 8.519 Å, 90.00 90.00 90.00°
Space group Cmc2_1 (No. 36)
Inequivalent atoms, fractional coordinates:
Al: 0.000 0.142 0.000 [4 per cell]
Sn: 0.000 0.069 0.308 [4 per cell]
Sn: 0.000 0.373 0.089 [4 per cell]
Au: 0.000 0.246 0.488 [4 per cell]
Au: 0.000 0.450 0.400 [4 per cell]

This entry pairs a crystal structure of AlSn2Au3 with its calculated powder diffraction line list. Radiation: Cu Kα (weighted mean of Kα1 and Kα2). Structure: a cell relaxed with GGA-PBE.
No peak broadening, texture or thermal motion is included.

Main lines, low angle first (2θ = 5–70°):
(hkl), 2θ/deg, d [Å], intensity
0 1 1, 27.71, 3.219, 259
1 0 2, 32.08, 2.790, 260
1 1 0, 32.55, 2.750, 457